**Material:**
~~~
Computed, not measured: an optimized crystal structure of TlRuPt2Rh at the PBE level of DFT.

Properties
formation enthalpy at 0 K = 196.8 kJ per mole of atoms
magnetic moment = 3.88 μB per formula unit
crystal system = tetragonal

a b c (Å): 4.9584 4.9584 4.9987
angles (deg): 90.00 90.00 90.00
Space group P4/mmm (No. 123)
Unique sites:
Tl  0.0000  0.0000  0.0000 (multiplicity 1)
Ru  0.0000  0.0000  0.5000 (multiplicity 1)
Pt  0.0000  0.5000  0.0000 (multiplicity 2)
Rh  0.5000  0.5000  0.5000 (multiplicity 1)
~~~

**What to do:**
Please return everything earlier on word for word.

**Result:**
Computed, not measured: an optimized crystal structure of TlRuPt2Rh at the PBE level of DFT.

Properties
formation enthalpy at 0 K = 196.8 kJ per mole of atoms
magnetic moment = 3.88 μB per formula unit
crystal system = tetragonal

a b c (Å): 4.9584 4.9584 4.9987
angles (deg): 90.00 90.00 90.00
Space group P4/mmm (No. 123)
Unique sites:
Tl  0.0000  0.0000  0.0000 (multiplicity 1)
Ru  0.0000  0.0000  0.5000 (multiplicity 1)
Pt  0.0000  0.5000  0.0000 (multiplicity 2)
Rh  0.5000  0.5000  0.5000 (multiplicity 1)